# Excerpt
+++
A plane-wave DFT calculation with PBE+U was carried out for a relaxed Li8Mn7FeB8O24 crystal.

CIF file:
```
data_Li8Mn7FeB8O24
_cell_length_a 6.066
_cell_length_b 9.030
_cell_length_c 9.865
_cell_angle_alpha 81.57
_cell_angle_beta 79.22
_cell_angle_gamma 77.24
_symmetry_space_group_name_H-M 'P 1'
_symmetry_Int_Tables_number 1
loop_
_symmetry_equiv_pos_as_xyz
'x,y,z'
loop_
_atom_site_label
_atom_site_type_symbol
_atom_site_fract_x
_atom_site_fract_y
_atom_site_fract_z
Li1 Li 0.000 0.000 0.000
Li2 Li 0.056 0.068 0.597
Li3 Li 0.250 0.501 0.750
Li4 Li 0.307 0.569 0.348
Li5 Li 0.501 0.000 0.501
Li6 Li 0.557 0.067 0.097
Li7 Li 0.749 0.501 0.250
Li8 Li 0.807 0.569 0.846
Mn1 Mn 0.067 0.328 0.025
Mn2 Mn 0.241 0.240 0.321
Mn3 Mn 0.316 0.828 0.775
Mn4 Mn 0.490 0.740 0.071
Mn5 Mn 0.567 0.328 0.525
Mn6 Mn 0.739 0.240 0.822
Mn7 Mn 0.819 0.827 0.278
Fe1 Fe 0.991 0.737 0.573
B1 B 0.011 0.403 0.576
B2 B 0.045 0.667 0.019
B3 B 0.260 0.902 0.330
B4 B 0.295 0.167 0.769
B5 B 0.511 0.402 0.078
B6 B 0.545 0.667 0.520
B7 B 0.761 0.901 0.825
B8 B 0.795 0.166 0.269
O1 O 0.094 0.551 0.934
O2 O 0.120 0.169 0.883
O3 O 0.139 0.781 0.364
O4 O 0.165 0.787 0.986
O5 O 0.186 0.399 0.463
O6 O 0.212 0.019 0.413
O7 O 0.344 0.051 0.684
O8 O 0.369 0.669 0.633
O9 O 0.392 0.281 0.109
O10 O 0.414 0.288 0.737
O11 O 0.433 0.899 0.214
O12 O 0.461 0.518 0.163
O13 O 0.595 0.551 0.435
O14 O 0.621 0.169 0.383
O15 O 0.641 0.781 0.860
O16 O 0.666 0.787 0.488
O17 O 0.685 0.400 0.963
O18 O 0.714 0.017 0.911
O19 O 0.844 0.050 0.184
O20 O 0.871 0.670 0.134
O21 O 0.891 0.283 0.611
O22 O 0.915 0.287 0.237
O23 O 0.933 0.898 0.710
O24 O 0.961 0.522 0.659
```

## Properties
Formation energy from the elements (eV per atom): -2.484
Total DFT energy (no corrections) (eV per cell): -348.9
Magnetization (μB per formula unit): 39.0


Record 1
Density functional theory data (PBE) for CaSn3P3O13 after structural relaxation. Values from VASP.

Cell and atoms, written as Quantum ESPRESSO input:
```
&SYSTEM
  ibrav = 0, nat = 40, ntyp = 4
/
ATOMIC_SPECIES
Ca 40.08 Ca.upf
Sn 118.71 Sn.upf
P 30.97 P.upf
O 16.00 O.upf
ATOMIC_POSITIONS angstrom
Ca 2.7015 -4.8346 -3.2276
Ca 9.8422 -4.6659 0.4660
Sn 5.5681 -1.6727 -2.7717
Sn 6.9756 -7.8279 0.0102
Sn 4.7346 -3.4856 0.5057
Sn -0.6784 -2.8763 -1.7635
Sn 7.8091 -6.0150 -3.2672
Sn 0.0000 0.0000 0.0000
P 8.4355 -2.9631 -1.7702
P 4.1082 -6.5375 -0.9913
P 7.1337 -5.1093 2.2311
P 5.4100 -4.3913 -4.9926
P 10.1407 -8.0958 -0.7704
P 2.4030 -1.4048 -1.9911
O 8.6633 -7.5655 -1.0671
O 3.8535 -5.0163 -1.0325
O 5.6731 -4.7301 2.1746
O 10.9984 -6.7737 -0.7165
O 5.6879 -6.8078 -1.1582
O 7.0280 -8.9037 1.7447
O 6.8558 -2.6928 -1.6033
O 2.0585 -0.5509 -0.7109
O 8.7863 -2.2422 -3.0809
O 3.7574 -7.2584 0.3194
O 8.1248 -3.9067 2.3113
O 5.5157 -0.5969 -4.5062
O 4.9084 -3.5184 -3.8004
O 2.1159 -3.5769 -5.0537
O 6.8706 -4.7705 -4.9361
O 1.5453 -2.7269 -2.0450
O 3.3803 -7.0224 -2.2625
O 8.6902 -4.4843 -1.7291
O 7.6353 -5.9822 1.0389
O 3.8804 -1.9351 -1.6945
O 5.2345 -3.5244 -6.3391
O 7.3092 -5.9762 3.5776
O 4.4189 -5.5938 -5.0729
O 10.4852 -8.9497 -2.0506
O 9.1634 -2.4782 -0.4990
O 10.4278 -5.9237 2.2922
CELL_PARAMETERS angstrom
-1.3568 -5.7526 -3.5270
5.8500 1.5619 -4.7979
8.0505 -5.3099 5.5634
```

Properties
MP2020-corrected energy: -7.216 eV/atom
Final energy: -6.769 eV per atom

=====

Record 2
Density functional theory data (PBE) for SrCaSnP2O8 after structural relaxation. Values from VASP.

Cell and atoms, written as Quantum ESPRESSO input:
```
&SYSTEM
  ibrav = 0, nat = 26, ntyp = 5
/
ATOMIC_SPECIES
Sr 87.62 Sr.upf
Ca 40.08 Ca.upf
Sn 118.71 Sn.upf
P 30.97 P.upf
O 16.00 O.upf
ATOMIC_POSITIONS angstrom
Sr -0.8092 0.8724 -5.2057
Sr 2.0101 -9.3232 -1.0100
Ca 3.9696 -4.6854 -2.2602
Ca -2.7687 -3.7654 -3.9556
Sn 0.5757 -4.5125 -5.2843
Sn 0.6252 -3.9383 -0.9314
P -0.4773 -1.6233 -2.6001
P 1.6783 -6.8275 -3.6156
P -2.5560 -4.2298 -0.3501
P 3.7569 -4.2210 -5.8656
O 1.0473 -8.2153 -3.2960
O -1.9342 -1.7427 -3.0940
O 1.5896 -6.5078 -5.1446
O -0.7898 -8.0427 -0.6043
+++
# What to do
Work out how many lines further up have the word "ATOMIC_SPECIES" in them; a number is enough.
# Completed
2